Entries.
Entry 1:
Rb3Tb2SmO6: calculated PXRD pattern (Cu Kα), based on a DFT-relaxed cell (PBE, Alexandria).
Intensities are scaled so that the largest is 100.

Crystal structure
```
12
Lattice="3.083 -5.341 0.000 3.083 5.341 0.000 -2.055 0.000 6.579" Properties=species:S:1:pos:R:3 pbc="T T T"
Rb 0.000 0.000 0.000
Rb 3.083 1.784 0.000
Rb 3.083 -1.784 0.000
Tb 2.056 3.560 3.289
Tb 2.056 -3.560 3.289
Sm 2.056 0.000 3.289
O 1.012 1.808 2.125
O -0.032 0.000 4.453
O 1.012 -1.808 2.125
O 3.099 1.808 4.454
O 4.143 0.000 2.125
O 3.099 -1.808 4.454
```

Main lines, most intense first (10 to 80 degrees two-theta):
| two_theta | I_rel |
| --- | --- |
| 34.29 | 100.0 |
| 30.37 | 83.0 |
| 27.11 | 41.3 |
| 47.18 | 35.5 |
| 51.32 | 31.9 |
| 13.46 | 30.5 |

Entry 2:
RbSm3Te4O12: calculated PXRD pattern (Cu Kα), based on a DFT-relaxed cell (PBE, Alexandria).
Intensities are scaled so that the largest is 100.

Crystal structure
```
20
Lattice="6.549 3.781 2.509 -6.549 3.781 2.509 0.000 -7.562 2.509" Properties=species:S:1:pos:R:3 pbc="T T T"
Rb 0.000 0.000 0.000
Sm -3.660 -1.222 2.509
Sm 2.889 -2.559 2.509
Sm 0.772 3.781 2.509
Te -2.886 -4.999 3.763
Te 0.000 0.000 3.763
Te -2.886 4.999 3.763
Te 5.772 0.000 3.763
O -5.312 0.000 3.763
O -3.431 -2.891 4.076
O -0.788 -4.416 3.451
O -3.431 2.891 3.451
O -2.117 0.000 3.763
O 2.656 -4.601 3.763
O 1.058 -1.833 3.763
O 1.058 1.833 3.763
O -0.788 4.416 4.076
O 4.219 -1.525 4.076
O 4.219 1.525 3.451
O 2.656 4.601 3.763
```

Main lines, most intense first (10 to 80 degrees two-theta):
| two_theta | I_rel |
| --- | --- |
| 28.46 | 100.0 |
| 27.23 | 62.1 |
| 30.80 | 57.7 |
| 23.89 | 56.2 |
| 50.23 | 33.3 |
| 46.16 | 26.5 |

* * * * *

Record 1
Na6CdAu3: computed powder diffraction line list (Cu Ka), based on the GGA-PBE geometry in Alexandria.
Peak positions follow from Bragg's law for the DFT cell and can differ from measured ones.

The 10 most intense peaks (2θ = 10–90°), in order of rising 2θ:
| 2θ (°) | I_rel |
| --- | --- |
| 19.91 | 1000 |
| 33.27 | 115 |
| 34.81 | 307 |
| 34.94 | 153 |
| 35.71 | 100 |
| 37.46 | 181 |
| 40.52 | 114 |
| 40.68 | 149 |
| 44.74 | 101 |
| 54.38 | 99 |

Structural model:
```
Na6CdAu3
1.0
9.7301 0.0000 0.0000
0.0000 5.1355 0.0000
-5.4054 0.0000 10.0573
Na Cd Au
12 2 6
Direct
0.0025 0.0001 0.3409
0.0025 0.4999 0.8409
0.3119 0.0008 0.9660
0.3119 0.4992 0.4660
0.3694 0.5025 0.1905
0.3694 0.9975 0.6905
0.6306 0.0025 0.3095
0.6306 0.4975 0.8095
0.6881 0.5008 0.5340
0.6881 0.9992 0.0340
0.9975 0.9999 0.6591
0.9975 0.5001 0.1591
0.0000 0.0000 0.0000
0.0000 0.5000 0.5000
0.2496 0.0016 0.2520
0.2496 0.4984 0.7520
0.5000 0.0000 0.5000
0.5000 0.5000 0.0000
0.7504 0.5016 0.2480
0.7504 0.9984 0.7480
```

Record 2
NaCd4Au6: computed powder diffraction line list (Cu Ka), based on the GGA-PBE geometry in Alexandria.
Peak positions follow from Bragg's law for the DFT cell and can differ from measured ones.

The 10 most intense peaks (2θ = 10–90°), in order of rising 2θ:
| 2θ (°) | I_rel |
| --- | --- |
| 15.17 | 1000 |
| 24.51 | 388 |
| 30.61 | 452 |
| 36.58 | 525 |
| 38.07 | 964 |
| 38.29 | 760 |
| 39.81 | 532 |
| 41.08 | 505 |
| 42.44 | 373 |
| 44.53 | 368 |

Structural model:
```
NaCd4Au6
1.0
-3.4742 3.4742 5.3925
3.4742 -3.4742 5.3925
3.4742 3.4742 -5.3925
Na Cd Au
1 4 6
Direct
0.0000 0.0000 0.0000
0.1022 0.1022 0.5691
0.4669 0.8978 0.0000
0.5331 0.5331 0.4309
0.8978 0.4669 0.0000
0.0000 0.5000 0.5000
0.2413 0.5779 0.0000
0.4221 0.4221 0.6635
0.5000 0.0000 0.5000
0.5779 0.2413 0.0000
0.7587 0.7587 0.3365
```

Record 3
Na2Cd5Au4: computed powder diffraction line list (Cu Ka), based on the GGA-PBE geometry in Alexandria.
Peak positions follow from Bragg's law for the DFT cell and can differ from measured ones.

The 10 most intense peaks (2θ = 10–90°), in order of rising 2θ:
| 2θ (°) | I_rel |
| --- | --- |
| 19.17 | 950 |
| 20.01 | 570 |
| 26.20 | 472 |
| 34.76 | 757 |
| 36.68 | 1000 |
| 37.03 | 711 |
| 37.94 | 678 |
| 38.32 | 802 |
| 39.35 | 773 |
| 42.39 | 452 |

Structural model:
```
Na2Cd5Au4

To do.
Transcribe all of the calculation results further up without altering anything.

Solution.
Entry 1:
Rb3Tb2SmO6: calculated PXRD pattern (Cu Kα), based on a DFT-relaxed cell (PBE, Alexandria).
Intensities are scaled so that the largest is 100.

Crystal structure
```
12
Lattice="3.083 -5.341 0.000 3.083 5.341 0.000 -2.055 0.000 6.579" Properties=species:S:1:pos:R:3 pbc="T T T"
Rb 0.000 0.000 0.000
Rb 3.083 1.784 0.000
Rb 3.083 -1.784 0.000
Tb 2.056 3.560 3.289
Tb 2.056 -3.560 3.289
Sm 2.056 0.000 3.289
O 1.012 1.808 2.125
O -0.032 0.000 4.453
O 1.012 -1.808 2.125
O 3.099 1.808 4.454
O 4.143 0.000 2.125
O 3.099 -1.808 4.454
```

Main lines, most intense first (10 to 80 degrees two-theta):
| two_theta | I_rel |
| --- | --- |
| 34.29 | 100.0 |
| 30.37 | 83.0 |
| 27.11 | 41.3 |
| 47.18 | 35.5 |
| 51.32 | 31.9 |
| 13.46 | 30.5 |

Entry 2:
RbSm3Te4O12: calculated PXRD pattern (Cu Kα), based on a DFT-relaxed cell (PBE, Alexandria).
Intensities are scaled so that the largest is 100.

Crystal structure
```
20
Lattice="6.549 3.781 2.509 -6.549 3.781 2.509 0.000 -7.562 2.509" Properties=species:S:1:pos:R:3 pbc="T T T"
Rb 0.000 0.000 0.000
Sm -3.660 -1.222 2.509
Sm 2.889 -2.559 2.509
Sm 0.772 3.781 2.509
Te -2.886 -4.999 3.763
Te 0.000 0.000 3.763
Te -2.886 4.999 3.763
Te 5.772 0.000 3.763
O -5.312 0.000 3.763
O -3.431 -2.891 4.076
O -0.788 -4.416 3.451
O -3.431 2.891 3.451
O -2.117 0.000 3.763
O 2.656 -4.601 3.763
O 1.058 -1.833 3.763
O 1.058 1.833 3.763
O -0.788 4.416 4.076
O 4.219 -1.525 4.076
O 4.219 1.525 3.451
O 2.656 4.601 3.763
```

Main lines, most intense first (10 to 80 degrees two-theta):
| two_theta | I_rel |
| --- | --- |
| 28.46 | 100.0 |
| 27.23 | 62.1 |
| 30.80 | 57.7 |
| 23.89 | 56.2 |
| 50.23 | 33.3 |
| 46.16 | 26.5 |

* * * * *

Record 1
Na6CdAu3: computed powder diffraction line list (Cu Ka), based on the GGA-PBE geometry in Alexandria.
Peak positions follow from Bragg's law for the DFT cell and can differ from measured ones.

The 10 most intense peaks (2θ = 10–90°), in order of rising 2θ:
| 2θ (°) | I_rel |
| --- | --- |
| 19.91 | 1000 |
| 33.27 | 115 |
| 34.81 | 307 |
| 34.94 | 153 |
| 35.71 | 100 |
| 37.46 | 181 |
| 40.52 | 114 |
| 40.68 | 149 |
| 44.74 | 101 |
| 54.38 | 99 |

Structural model:
```
Na6CdAu3
1.0
9.7301 0.0000 0.0000
0.0000 5.1355 0.0000
-5.4054 0.0000 10.0573
Na Cd Au
12 2 6
Direct
0.0025 0.0001 0.3409
0.0025 0.4999 0.8409
0.3119 0.0008 0.9660
0.3119 0.4992 0.4660
0.3694 0.5025 0.1905
0.3694 0.9975 0.6905
0.6306 0.0025 0.3095
0.6306 0.4975 0.8095
0.6881 0.5008 0.5340
0.6881 0.9992 0.0340
0.9975 0.9999 0.6591
0.9975 0.5001 0.1591
0.0000 0.0000 0.0000
0.0000 0.5000 0.5000
0.2496 0.0016 0.2520
0.2496 0.4984 0.7520
0.5000 0.0000 0.5000
0.5000 0.5000 0.0000
0.7504 0.5016 0.2480
0.7504 0.9984 0.7480
```

Record 2
NaCd4Au6: computed powder diffraction line list (Cu Ka), based on the GGA-PBE geometry in Alexandria.
Peak positions follow from Bragg's law for the DFT cell and can differ from measured ones.

The 10 most intense peaks (2θ = 10–90°), in order of rising 2θ:
| 2θ (°) | I_rel |
| --- | --- |
| 15.17 | 1000 |
| 24.51 | 388 |
| 30.61 | 452 |
| 36.58 | 525 |
| 38.07 | 964 |
| 38.29 | 760 |
| 39.81 | 532 |
| 41.08 | 505 |
| 42.44 | 373 |
| 44.53 | 368 |

Structural model:
```
NaCd4Au6
1.0
-3.4742 3.4742 5.3925
3.4742 -3.4742 5.3925
3.4742 3.4742 -5.3925
Na Cd Au
1 4 6
Direct
0.0000 0.0000 0.0000
0.1022 0.1022 0.5691
0.4669 0.8978 0.0000
0.5331 0.5331 0.4309
0.8978 0.4669 0.0000
0.0000 0.5000 0.5000
0.2413 0.5779 0.0000
0.4221 0.4221 0.6635
0.5000 0.0000 0.5000
0.5779 0.2413 0.0000
0.7587 0.7587 0.3365
```

Record 3
Na2Cd5Au4: computed powder diffraction line list (Cu Ka), based on the GGA-PBE geometry in Alexandria.
Peak positions follow from Bragg's law for the DFT cell and can differ from measured ones.

The 10 most intense peaks (2θ = 10–90°), in order of rising 2θ:
| 2θ (°) | I_rel |
| --- | --- |
| 19.17 | 950 |
| 20.01 | 570 |
| 26.20 | 472 |
| 34.76 | 757 |
| 36.68 | 1000 |
| 37.03 | 711 |
| 37.94 | 678 |
| 38.32 | 802 |
| 39.35 | 773 |
| 42.39 | 452 |

Structural model:
```
Na2Cd5Au4